School Community Council Meeting Agenda
Tuesday, April 14, 2015
Alisa Didenhover / Yvette White / Rachael Shober / Audra ArmstrongBecky Dall / Nick Hansen / Harmony Pearce / Jodi Stewart-Browning
Darrell Robinson / Mayor Carmen Freeman
- Meeting started at 2:55 pm
- Minutes were approved as posted on the school’s website.
- Celebrations:
- Grandparents’ Day was awesome!
- Battle of the Books (3rd – 6th grades) - Students reading more & very excited to show their knowledge about the books they read!
- Kindergarten Orientation went well. Many incoming Bobcats & parents attended. We expect to have five sessions next year (two full-time teachers & a half-time Kindergartens).
- We have positive parent support here at Butterfield Canyon!
- School Progress Report.
- Reviewed 2014-2015 Land Trust Goals- as of the end of March, we have met the two goals as a school!
- #1- to have 85% of students (K-6) reading at or above grade level school wide
- #2- to have 85% of students (K-6) with an average of 85% proficiency on district math benchmarks tests and/or unit test
- Two of our grade levels have not yet made their math goals, but all teachers are continuing to provide additional time & support for students to develop mastery of those concepts.
- Mrs. White suggested that parents know about this data and help their students or find peer mentors help struggling students with math. National Honor Society has a group of students that are happy & willing to help younger students.
- Mr. Robinson suggested that sometimes parents feel uncomfortable helping students with math because of terminology used or different approaches to explaining concepts.
- Mrs. Didenhover explained that when she taught, the school maintained a list of tutors for when parents asked for help. Mr. Hansen replied that while we do have a couple of people in the neighborhood whose names could be shared, we would like to meet all students’ needs at school by providing space on the community board for that and possibly providing in-house tutoring (before/after school) at no cost to the families.
- The group agreed a list of resources, such as Think Central & Khan Academy links, needs to be available for parents to easily access.
- Modifications for 2015-2016 Land Trust plan
- Mr. Hansen explained the School Land Trust template that he had prepared based on our last SCC meeting discussion.
- Mrs. Shober recommended that we raise the expected level of proficiency because we have met our 85% goal set for this year. The group supported this idea. The new goal would be 87%, because we achieved 86% this year.
- Mrs. White asked if an enrichment session be provided for students who are academically advanced for their grade placement. The SCC group would like to see this happen.
- Many grade levels are providing enrichment during math re-teaching times. Many enrichment activities are inherent in classrooms daily, such as literature circles.
- Tutoring (after or before school) *An addition to this year’s Land Trust Plan
- $10.00 for a non-certified person
- $19.00 for a certified teacher
- High School volunteers could be used.
- Morning would probably to best for our community because so many of our students are involved in activities afterschool.
- It was recommended that we roll it out as a special limited program to help students & parents realize that attending this tutoring need to be consistent.
- Mr. Hansen asked if there were extra monies allocated through Land Trust what might it be used for.
- Mrs. Armstrong suggested that perhaps an assistant be assigned to those students with special needs on health care plans or 504 plans. While those needs are minimal this proposed assistant would have extra time to assist as a tutor or for other instructional needs.
- Mrs. Shober suggested that some money might be set aside for an additional program, yet undetermined, to provide enrichment.
- Mrs. Pearce asked which SCC members support our Land Trust Plan as currently proposed. All in attendance were supportive!See the proposed plan pasted below:
School LAND Trust Plan for Butterfield Canyon (2015-2016)
a. State the specific goal in a sentence or two including when the school will reach the goal.
87% of students in each grade level will be reading on/above grade level by March of 2016. Students reading below level (receiving interventions) will have an average increase in guided reading levels that meets or exceeds that of the grade level average. Students who are maxed out on our school’s leveling system (level Z) will show growth by progress on their lexile score derived from the computer-based SRI assessment.
b. Highlight the academic area for this goal from the list. You may select more than one area for this goal.
c. Identify the specific measurement(s) you will use to determine if you are making progress towards the goal. Include the baseline and completed measurement.
We will use their guided reading level (GRL A-Z) as determined by an individual assessment by the classroom teacher to determine whether or not the children are reading below, at or above grade level. On a monthly basis, teachers will submit the percentage of students from their class that are reading on/above grade level. This data is easily derived from the monthly JSAS report. Students that are reading at a level Z will show growth and progress from their lexile score on the computer-based SRI assessment.
d. List the specific steps of the ACTION PLAN to reach this goal. Be sure to include a description of how each expenditure is part of the action plan.
Next to the piece, the page also holds records of crystals:
# 1
Computed, not measured: crystalline SrEu3 at its relaxed geometry at the GGA-PBE level of DFT.

Unit cell a=7.0681 b=7.0681 c=7.0681 alpha=133.09 beta=133.09 gamma=68.52
Last column: nearest neighbours and their distance in Å.
Element x y z (fractional)
Eu 0.7500 0.2500 0.5000  8 Eu 3.98-4.06, 4 Sr 4.06
Eu 0.2500 0.7500 0.5000  8 Eu 3.98-4.06, 4 Sr 4.06
Sr 0.0000 0.0000 0.0000  12 Eu 3.98-4.06
Eu 0.5000 0.5000 0.0000  4 Sr 3.98, 8 Eu 4.06

## Properties
* electronic total energy: -8.080 eV/atom
* ΔH_f (0 K): 0.1 eV per formula unit

=====

# 2
Computed, not measured: crystalline HoPd2Pb at its relaxed geometry at the GGA-PBE level of DFT.

Unit cell a=4.8662 b=4.8662 c=4.8662 alpha=60.00 beta=60.00 gamma=60.00
Last column: nearest neighbours and their distance in Å.
Element x y z (fractional)
Pd 0.7500 0.7500 0.7500  4 Pb 2.98, 4 Ho 2.98
Pb 0.0000 0.0000 0.0000  8 Pd 2.98
Ho 0.5000 0.5000 0.5000  8 Pd 2.98
Pd 0.2500 0.2500 0.2500  4 Pb 2.98, 4 Ho 2.98

## Properties
* electronic total energy: -5.370 eV/atom
* ΔH_f (0 K): -2.8 eV per formula unit

=====

# 3
Computed, not measured: crystalline B2AsCl2 at its relaxed geometry at the GGA-PBE level of DFT.

Unit cell a=7.3973 b=7.6647 c=11.4580 alpha=99.41 beta=100.30 gamma=117.12
Last column: nearest neighbours and their distance in Å.
Element x y z (fractional)
Cl 0.3870 0.8563 0.6600  1 B 1.76
B 0.9020 0.7297 0.6408  2 B 1.75-1.76, 1 Cl 1.76
Cl 0.7422 0.2527 0.0097  1 B 1.75
As 0.9169 0.4696 0.6859  3 B 2.13-2.18
Cl 0.2578 0.7473 0.9903  1 B 1.75
Cl 0.8436 0.8299 0.1563  1 B 1.76
As 0.2244 0.3388 0.2042  3 B 2.13-2.19
B 0.9400 0.0931 0.2143  3 B 1.70-1.76, 1 Cl 1.76
B 0.8430 0.2244 0.2905  3 B 1.70-1.75, 1 Cl 1.76
As 0.0831 0.5304 0.3141  3 B 2.13-2.18
Cl 0.2214 0.2582 0.5011  1 B 1.76
B 0.1570 0.7756 0.7095  3 B 1.70-1.75, 1 Cl 1.76
B 0.1057 0.7318 0.8488  1 Cl 1.75, 2 B 1.75-1.76
B 0.0600 0.9069 0.7857  3 B 1.70-1.76, 1 Cl 1.76
B 0.8943 0.2682 0.1512  1 Cl 1.75, 2 B 1.75-1.76
Cl 0.6130 0.1437 0.3400  1 B 1.76
Cl 0.7786 0.7418 0.4989  1 B 1.76
Cl 0.1564 0.1701 0.8437  1 B 1.76
B 0.0980 0.2703 0.3592  2 B 1.75-1.76, 1 Cl 1.76
As 0.7756 0.6612 0.7958  3 B 2.13-2.19

## Properties
* electronic total energy: -4.782 eV/atom
* ΔH_f (0 K): -3.4 eV per formula unit

=====

# 4
Computed, not measured: crystalline Ba3NdB9O18 at its relaxed geometry at the GGA-PBE level of DFT.

Unit cell a=7.3240 b=7.3240 c=17.7872 alpha=90.00 beta=90.00 gamma=120.00
Last column: nearest neighbours and their distance in Å.
Element x y z (fractional)
B 0.7110 0.5473 0.4171  3 O 1.33-1.41
O 0.7089 0.5405 0.2500  2 B 1.41-1.42
Ba 0.0000 0.0000 0.7500  6 O 2.78-2.95
Ba 0.6667 0.3333 0.8648  9 O 2.76-3.09
O 0.0781 0.6653 0.2500  1 B 1.33
O 0.3761 0.8741 0.5821  2 B 1.41
Ba 0.3333 0.6667 0.3648  9 O 2.76-3.09
B 0.1184 0.4962 0.7500  3 O 1.33-1.42
O 0.7466 0.7444 0.4161  1 B 1.33
O 0.4128 0.0781 0.7500  1 B 1.33
O 0.6239 0.1259 0.4179  2 B 1.41
B 0.2890 0.4527 0.9171  3 O 1.33-1.41
Ba 0.3333 0.6667 0.1352  9 O 2.76-3.09
- All students will receive regular direct instruction from their teacher in small homogeneous groups based on reading abilities.
- Students identified as reading below grade level will be provided with a double-dose of academic intervention. This additional support may come in the form of additional targeted help from the teacher/aide during and after school hours or regular time spent with an intervention aide working on targeted skill deficits (teachers will receive in-service rate).
- Students identified as above level will be provided with opportunities to deepen, enrich, and stretch their understanding through a program we call the “School of Rock”. A class dedicated to provide more challenging experiences and exposure to literacy content.
- Digital reading supports (i.e. RAZ KIDS, Headsprout, etc.) will be provided for all students in K-2 and any student that is reading below level.
- Provide professional development opportunities for teachers to help track and improve proficiency rates (conferences, school research, book study projects, data meetings, additional collaboration, etc.)
e. Does this goal include a behavioral/character education/leadership component? NO
f. Planned expenditures
Salaries and Employee Benefits ($23, 684) These funds will be used to pay for intervention assistants’ salaries, the cost of substitutes and/or for any off-contract time spent by teachers in providing tutoring to students.
a. State the specific goal in a sentence or two including when the school will reach the goal.
Each student will reach a proficiency of at least 87% on their district math benchmark assessments. Any student below 87% will show significant growth after additional support.
b. Highlight the academic area for this goal from the list. You may select more than one area for this goal.
c. Identify the specific measurement(s) you will use to determine if you are making progress towards the goal. Include the baseline and completed measurement.
Students from each grade level will take a common math assessment called the District Benchmark at least four times a year. We will track their score after the first time they take it after they’ve received instruction from those units of study. Teachers will provide students with additional time and support to correct any deficits that remain in their understanding. The improved scores will be reflected in the ongoing section of the tracking system.
d. List the specific steps of the ACTION PLAN to reach this goal. Be sure to include a description of how each expenditure is part of the action plan.
- Provide academic intervention assistants for each grade level to provide time for targeted support of deficit skill areas. Teachers/aides will also be able to provide additional instruction for students both during/after school hours (teachers will receive in-service rate).
- Provide monthly accountability in teacher collaboration meetings reporting their current number of students proficient (87% or above) on their benchmark assessments.
- Provide professional development opportunities for teachers to help track and improve proficiency rates (conferences, school research, book study projects, data meetings, additional collaboration, etc.)
e. Does this goal include a behavioral/character education/leadership component? NO
f. Planned expenditures
Salaries and Employee Benefits ($23, 684) These funds will be used to pay for intervention assistants’ salaries, the cost of substitutes and/or for any off-contract time spent by teachers in providing tutoring to students.
a. State the specific goal in a sentence or two including when the school will reach the goal.
Students in 1st-3rd grades will walk/run a total of 50 miles by the end of the year through participation in the “Walk Across Utah” program.
b. Highlight the academic area for this goal from the list. You may select more than one area for this goal.
c. Identify the specific measurement(s) you will use to determine if you are making progress towards the goal. Include the baseline and completed measurement.
Students will walk around the field in the back of the school enough times (8) to equal a mile. Each time the class completes a mile a box will be shaded on the map of the state to represent progress towards their destination. Each classroom has a map of the state and a tracking document that they post in their classroom to visually track their progress.
d. List the specific steps of the ACTION PLAN to reach this goal.
Teachers will take their students out for a brain break to promote physical health in their students as often as their schedules allow during the final trimester of school. Students will receive a souvenir as their class reaches each destination.
e. Does this goal include a behavioral/character education/leadership component? NO
f. Planned expenditures
General Supplies ($500)
2. Financial Proposal This chart is automatically calculated in the online version from entries made in each goal. You will not have to enter this data online.
Estimated Carry-Over from 2014-2015 / $ 0Estimated Distribution in 2015-2016 / $ 47,869
Total ESTIMATED Available Funds for 2015-2016 / $ 47,869
Goal 1 / Goal 2 / Goal 3 / Goal 4 / Goal 5
Salaries and Employee Benefits (100 and 200) / 23,685 / 23,684
Professional and Technical Services (300)
Repairs and Maintenance (400)
Other Purchased Services (Admission and Printing) (500)
Travel (580)
General Supplies (610) / 500
Textbooks (641)
Library Books (644)
Periodicals, AV Materials (650-660)
Software (670)
Equipment (Computer Hardware, Instruments, Furniture) (730)
GOAL TOTALS / 23,685 / 23,684
Carry-over to 2016-2017 $ 0
3. Please explain the reason for the ESTIMATED carry-over to 2016 – 2017. Funds identified to be carried-over should be identified for a specific future need and should not be used as a savings account.
Not Applicable
4. Plans for expenditures of an increased distribution:
Some years the distribution is larger than the estimate. Please explain how the school will incorporate additional funds into the plan described here. Please provide a clear and adequate explanation so that it will not be necessary to edit the plan if additional money is received.
We plan on adding funds to help accomplish our existing efforts/resources to achieve goals 1-3.
5. This year, the School LAND Trust Program will begin collecting additional data on how you used your funds. Please indicate whether you plan to spend funds in any of the following areas and prepare to report back the information requested below in the Final Report:
- Paraprofessionals—Number of paraprofessionals/aides hired and academic area
- Professional Development—Number of teachers trained
6. How will the plan and results be publicized to your community?
Letters to policy makers and/or administrators of trust lands and trust funds
School newsletter
School website
7. The vote of the council/committee to approve the 2015 - 2016 School LAND Trust Plan was recorded in the minutes and took place on:
The vote was unanimous in approval
Number who approved:9 (Alisa, Rachael, Darrell, Audra, Harmony, Yvette, Nick, Jodi, Becky)
Number who did not approved:0
Number who where absent: 4 (Hollie, Tanya, Heather, Robyn)
If the council reconsiders their action to approve the plan or if the district/school board requests changes to the plan, another vote of the council/committee is required.